
Controlling the Cost of Time: The Key to Successful Life Sciences Construction

Without good early decision making, time can adversely affect even the best-designed projects.

Speed-to-market is front of mind for project owners across the life sciences space, from biotech research & development to pharmaceutical manufacturing. While efficiency in construction itself is key to keeping schedule, Mike Marston, one of DPR Construction’s Life Sciences core market leaders, recently spoke at the Advancing Life Sciences Conference about how owners need to consider how their decisions in the procurement process can have long-lasting effects on the project schedule and building operations. Marston discussed top takeaways with us after the event.

An individual on a stage giving a presentation in a conference room.

Where do you see the best chances to streamline decision making on life sciences construction projects?

Marston: The first thing is to understand who the real stakeholders are for a project and to understand the cost of time. We can usually work together to find ways to fluctuate within budgets. We can look at different materials in procurement to address quality and we can always modify budgets. What we are challenged with is time. There are only so many things we can do to accelerate a project. Therefore, we need to plan our projects to not waste and take advantage of the time we have as best as possible.

[1]
{"formula": "C8H12FO4Tl", "method": "ωB97M-V/def2-TZVPD", "molar_mass_g_mol": 395.6, "gap_ev": 3.1, "fmax_ev_per_a": 2.22, "de_lowest_kj_mol": 60.8, "total_charge": 2, "symbols": ["Tl", "F", "O", "C", "O", "C", "C", "C", "H", "H", "H", "H", "H", "H", "O", "C", "O", "C", "C", "C", "H", "H", "H", "H", "H", "H"], "xyz": [[0.703, -0.415, 0.484], [0.824, -0.923, 3.257], [-1.746, 0.420, 1.624], [-2.479, 0.901, 2.480], [-3.082, 2.045, 2.321], [-3.815, 2.436, 3.551], [-4.183, 1.061, 4.048], [-2.970, 0.242, 3.787], [-4.596, 3.136, 3.263], [-3.210, 2.966, 4.289], [-5.004, 0.631, 3.470], [-4.599, 1.132, 5.057], [-3.172, -0.817, 3.635], [-2.207, 0.327, 4.567], [3.074, -0.759, -1.218], [3.263, -0.927, -2.413], [4.478, -0.774, -2.930], [4.469, -0.976, -4.363], [2.988, -0.972, -4.739], [2.308, -1.417, -3.458], [4.994, -1.912, -4.555], [5.004, -0.218, -4.933], [2.843, -1.655, -5.577], [2.658, 0.027, -5.017], [2.183, -2.485, -3.245], [1.275, -1.075, -3.384]], "mulliken_charge": [1.208, -0.273, -0.419, 0.594, -0.272, -0.374, -0.516, -0.321, 0.336, 0.275, 0.281, 0.371, 0.339, 0.305, -0.436, 0.612, -0.271, -0.417, -0.508, -0.417, 0.306, 0.322, 0.322, 0.301, 0.329, 0.322]}

[2]
{"formula": "C5H8N2O5", "method": "ωB97M-V/def2-TZVPD", "molar_mass_g_mol": 176.1, "s2": 2.01, "spin_multiplicity": 3, "gap_ev": [6.7, 7.2], "fmax_ev_per_a": 3.86, "de_lowest_kj_mol": 0.0, "symbols": ["C", "C", "C", "C", "C", "N", "N", "O", "O", "O", "O", "O", "H", "H", "H", "H", "H", "H", "H", "H"], "xyz": [[0.157, -0.124, 0.934], [0.278, 2.201, 0.674], [0.078, 3.241, -0.379], [-0.996, -1.289, -1.493], [-0.387, -1.822, -0.244], [0.395, -0.426, 2.090], [1.007, -2.175, -0.287], [0.564, 2.381, 1.818], [1.384, -2.919, 0.610], [1.719, -1.673, -1.135], [-1.111, -2.599, 0.560], [0.069, 0.942, 0.147], [-0.177, 2.786, -1.331], [-0.713, 3.920, -0.063], [0.994, 3.822, -0.474], [-1.310, -2.120, -2.122], [-0.256, -0.697, -2.027], [-1.868, -0.683, -1.265], [0.654, 0.255, 2.800], [-0.479, -3.019, 1.187]], "lowdin_spin": [0.454, 0.026, 0.011, 0.036, 0.322, 0.195, 0.222, 0.020, 0.161, 0.239, 0.159, 0.091, 0.000, 0.001, 0.000, 0.014, 0.001, 0.006, 0.039, 0.004]}

[3]
### So much for the molecular data

As a result, project teams should look at time through the lens of how it affects their overall business, and not just the construction project. If we make decisions just based on a short-term construction process, the impact of time or delay to a client's business could be tremendous. Understanding the business and financial models of your firm and how those defining features of business should inform construction is a great filter not only for early decision making, but through the course and completion of the project.

While many customers we work with have differing levels of engagement, what we can say is the process needs to start early. We want to get involved as early as possible and ask questions to have them contemplate with the design partner to make the best decisions, taking into consideration current and future supply chain and labor conditions. In a traditionally siloed execution of a project, there is the risk of being focused so much on design without proper consideration for construction and eventual building operations. Clients need a contracting partner who has not only the short term look at what's coming up, but also the long-term data to inform robust business decisions. 

three people talking on a jobsite

Everyone is focused on speed-to-market. Where do project teams risk getting hung up?

Marston: Certainly, the objective on any project is predictable results, specifically around quality, time and budget. One of the risks that can affect those three components is material and equipment procurement, especially if you’re not pull planning it into the early-stage decision making process.

For example, an owner might design a completely custom facility and, on paper, everything looks perfect to optimize the end product—the facility. If that plan focused only on optimization, it risks supply chain problems. Suppose key pieces of equipment can only come from one manufacturer or a pool of very few manufacturers. Your design is great from a quality perspective, but you’re hurting schedule and budget before a shovel has even hit the ground. This can impact construction, but also facilities and operations throughout the lifecycle of the building as well. Global supply chain impacts can have tremendous impacts to business operations when failures occur if spare parts or qualified labor haven’t been considered in the designing of a project.

moving a crate on a construction site

What are the longest lead times you’re seeing in the supply chain recently and what can customers do to head them off?

Marston: Certain commodities—that can mean materials but also a manufactured product—like copper still tend to have fairly long lead times. We are also seeing other commodity shortages in precious metals, which affects manufacturers of chips and other electronic components that go into these specialized facilities. We're still feeling some of the pandemic effects because of the disruptions, short term bubbles and demand requirements.

The good news is much of the supply chain problems that we had a few years ago have smoothed out, but it's something you have to be watching constantly because the supply chain is extremely complex. We are playing on a global level and geopolitical impacts are tremendous right now. So are infrastructure impacts or adjacent market impacts. There are so many things that can potentially affect your supply chain. Teams should make sure to design and schedule flexibility into projects to minimize potential supply chain impacts.

The number one thing customers can do is to set their plans and bring in their partners to streamline decision making early. This will allow clients to get the best information early from the construction market to best mitigate impacts to their projects.